III. The Postclassical Period, 500–1500 > B. The Middle East and North Africa, 500–1500 > 2. The Muslim Middle East and North Africa, c. 945–1500 > e. Egypt and Syria > 1064
Record 1
Density functional theory data (PBE) for crystalline ZrAl2BrF at its relaxed geometry.

Results
Space group = P4/mmm, No. 123
Crystal system = tetragonal
E_form (uncorrected) = -2.1 eV per formula unit
M_tot = 0.20 μB per atom

Cell and atoms, written as CIF:
```
data_ZrAl2BrF
_cell_length_a 5.673
_cell_length_b 5.673
_cell_length_c 4.187
_cell_angle_alpha 90.00
_cell_angle_beta 90.00
_cell_angle_gamma 90.00
_space_group_name_H-M_alt 'P 1'
_space_group_IT_number 1
_space_group_name_Hall 'P 1'
loop_
_atom_site_label
_atom_site_type_symbol
_atom_site_fract_x
_atom_site_fract_y
_atom_site_fract_z
Zr1 Zr 0.000 0.000 0.000
Al1 Al 0.000 0.500 0.000
Al2 Al 0.500 0.000 0.000
Br1 Br 0.500 0.500 0.500
F1 F 0.000 0.000 0.500
```



Record 2
Density functional theory data (PBE) for crystalline TcPIr at its relaxed geometry.

Results
Energy of formation from the pure elements = -0.571 eV/f.u.
Space group = I4mm, No. 107
Crystal system = tetragonal
M_tot = 0.00 μB per atom
E above lowest polymorph = 0.170 eV per atom

Cell and atoms, written as CIF:
```
data_TcPIr
_cell_length_a 5.255
_cell_length_b 5.255
_cell_length_c 5.255
_cell_angle_alpha 148.00
_cell_angle_beta 148.00
_cell_angle_gamma 45.88
_space_group_name_H-M_alt 'P 1'
_space_group_IT_number 1
_space_group_name_Hall 'P 1'
loop_
_atom_site_label
_atom_site_type_symbol
_atom_site_fract_x
_atom_site_fract_y
_atom_site_fract_z
Tc1 Tc 0.000 0.000 0.000
P1 P 0.636 0.636 0.000
Ir1 Ir 0.296 0.296 0.000
```



Record 3
Density functional theory data (PBE) for crystalline Ce2SI2O at its relaxed geometry.

Results
Space group = Pmc2_1, No. 26
Crystal system = orthorhombic
E_form (uncorrected) = -12.7 eV per formula unit
M_tot = 0.33 μB per atom

Cell and atoms, written as CIF:
```
data_Ce2SI2O
_cell_length_a 4.115
_cell_length_b 12.347
_cell_length_c 7.295
_cell_angle_alpha 90.00
_cell_angle_beta 90.00
_cell_angle_gamma 90.00
_space_group_name_H-M_alt 'P 1'
_space_group_IT_number 1
_space_group_name_Hall 'P 1'
loop_
_atom_site_label
_atom_site_type_symbol
_atom_site_fract_x
_atom_site_fract_y
_atom_site_fract_z
Ce1 Ce 0.000 0.061 0.000
Ce2 Ce 0.000 0.939 0.500
Ce3 Ce 0.500 0.195 0.412
Ce4 Ce 0.500 0.805 0.912
S1 S 0.500 0.044 0.704
S2 S 0.500 0.956 0.204
I1 I 0.000 0.382 0.524
I2 I 0.000 0.618 0.024
I3 I 0.500 0.274 0.003
I4 I 0.500 0.726 0.503
O1 O 0.000 0.116 0.353
O2 O 0.000 0.884 0.853
```



Record 4
Density functional theory data (PBE) for crystalline Ac3ErSn4 at its relaxed geometry.

Results
Energy of formation from the pure elements = -4.378 eV/f.u.
Space group = Pmn2_1, No. 31
Crystal system = orthorhombic
M_tot = 0.00 μB per atom

Cell and atoms, written as CIF:
```
data_Ac3ErSn4
_cell_length_a 11.611
_cell_length_b 6.739
_cell_length_c 6.735
_cell_angle_alpha 90.00
_cell_angle_beta 90.00
_cell_angle_gamma 90.00
_space_group_name_H-M_alt 'P 1'
_space_group_IT_number 1
_space_group_name_Hall 'P 1'
loop_
_atom_site_label
_atom_site_type_symbol
_atom_site_fract_x
_atom_site_fract_y
  The Encyclopedia of World History.  2001.
Entry into Syria of the first Turkoman tribes. One of their chiefs, named Atsiz, conquered Palestine (1071) and then southern Syria, including Damascus (1076).  1
The migration of the Turkomans during the late 11th century upset the tribal balance within the Syrian Desert and reduced the traditionally extensive role of Arab tribes in Syrian politics and commerce. For the next two centuries, the Turkomans operated as the paramount tribal power in Syria.  2
c. 1065
Establishment of the office of ra'is al-yahud, an officially recognized Jewish leader for all of Egypt. From the late 12th to the early 15th century, the position was in the hands of Maimonides' descendants.  3
Reign of the Seljuk chieftain Tutush, whose kingdom eventually covered most of Syria. He conquered southern Syria (1079) from the Turkoman chieftan Atsiz and reduced the Fatimid presence to a thin strip of coastline in Palestine. After Tutush's death, his state fell apart while his sons contested the succession. The resulting political disorganization of Syria coincided with the arrival of the Crusaders (See The Crusades), rendering unified Muslim resistance impossible.  4
Seljuk rule over the Syrian interior. Even after the arrival of the Crusaders (1099), a succession of petty dynasties, related to the Seljuk house, retained control of the major towns east of the Frankish states. Muslim political authority remained fragmented until the rise of the Ayyubids in the mid-12th century.  5
The CRUSADER STATES in coastal Syria. The First Crusade (See 1096–99), a response to Byzantine pleas for assistance, took Jerusalem (1099) and established a loose feudal federation known as the Latin Kingdom of Jerusalem. Even at their peak, the petty states constituting the Latin Kingdom—based on the cities of Jerusalem, Antioch, and Tripoli—covered only a sliver of territory along the Syrian coastline. The exception was the County of Edessa, which survived for a time (1098–1144) in southeastern Anatolia. The other Frankish states, their territory gradually diminishing, held out longer: Jerusalem fell in 1187, Antioch in 1268, and Tripoli in 1289 (the last Crusader fortress, Acre, was overrun in 1291).  6
Record 1
{"formula": "YB3Os", "functional": "GGA-PBE", "state": "optimized geometry", "cell": [[4.088, 0.000, 0.000], [0.000, 4.088, 0.000], [0.000, 0.000, 4.088]], "species": ["Y", "B", "B", "B", "Os"], "fractional_positions": [[0.500, 0.500, 0.500], [0.000, 0.500, 0.000], [0.000, 0.000, 0.500], [0.500, 0.000, 0.000], [0.000, 0.000, 0.000]], "mass_density_g_cm3": 7.6}

***

Record 2
{"formula": "YB3Os", "functional": "GGA-PBE", "state": "optimized geometry", "cell": [[3.075, 0.000, 0.000], [0.000, 5.529, 0.000], [-1.537, 0.000, 6.897]], "species": ["B", "B", "B", "B", "B", "B", "Y", "Y", "Os", "Os"], "fractional_positions": [[0.283, 0.016, 0.566], [0.717, 0.984, 0.434], [0.283, 0.484, 0.566], [0.209, 0.750, 0.417], [0.717, 0.516, 0.434], [0.791, 0.250, 0.583], [0.905, 0.750, 0.809], [0.095, 0.250, 0.191], [0.592, 0.750, 0.183], [0.408, 0.250, 0.817]], "mass_density_g_cm3": 8.8}

***

Record 3
{"formula": "Y3B7Os", "functional": "GGA-PBE", "state": "optimized geometry", "cell": [[3.525, 0.000, 0.000], [-1.762, 7.881, 0.000], [0.000, 0.000, 9.343]], "species": ["B", "B", "B", "B", "B", "B", "B", "B", "B", "B", "B", "B", "B", "B", "Y", "Y", "Y", "Y", "Y", "Y", "Os", "Os"], "fractional_positions": [[0.632, 0.264, 0.849], [0.368, 0.736, 0.151], [0.521, 0.042, 0.904], [0.727, 0.454, 0.966], [0.632, 0.264, 0.651], [0.542, 0.085, 0.250], [0.521, 0.042, 0.596], [0.273, 0.546, 0.034], [0.479, 0.958, 0.096], [0.273, 0.546, 0.466], [0.479, 0.958, 0.404], [0.368, 0.736, 0.349], [0.458, 0.915, 0.750], [0.727, 0.454, 0.534], [0.106, 0.212, 0.060], [0.894, 0.788, 0.940], [0.755, 0.511, 0.250], [0.894, 0.788, 0.560], [0.245, 0.489, 0.750], [0.106, 0.212, 0.440], [0.054, 0.108, 0.750], [0.946, 0.892, 0.250]], "mass_density_g_cm3": 6.8}

***

Record 4
{"formula": "Y2B4Os3", "functional": "GGA-PBE", "state": "optimized geometry", "cell": [[5.398, 0.069, 0.000], [-2.448, 4.811, 0.000], [-1.475, -2.440, 4.837]], "species": ["B", "B", "B", "B", "Os", "Os", "Os", "Y", "Y"], "fractional_positions": [[0.051, 0.618, 0.669], [0.618, 0.051, 0.669], [0.382, 0.949, 0.331], [0.949, 0.382, 0.331], [0.500, 0.000, 0.000], [0.000, 0.500, 0.000], [0.000, 0.000, 0.000], [0.658, 0.658, 0.316], [0.342, 0.342, 0.684]], "mass_density_g_cm3": 10.4}

***

Record 5
{"formula": "Y3B6Os8", "functional": "GGA-PBE", "state": "optimized geometry", "cell": [[10.053, 0.002, -0.001], [7.773, 5.038, 0.003], [2.280, -2.002, 4.622]], "species": ["Y", "Y", "Y", "B", "B", "B", "B", "B", "B", "Os", "Os", "Os", "Os", "Os", "Os", "Os", "Os"], "fractional_positions": [[0.000, 0.000, 0.000], [0.180, 0.180, 0.820], [0.820, 0.820, 0.180], [0.474, 0.176, 0.824], [0.526, 0.824, 0.176], [0.176, 0.474, 0.526], [0.824, 0.526, 0.474], [0.317, 0.683, 0.317], [0.683, 0.317, 0.683], [0.250, 0.250, 0.250], [0.750, 0.750, 0.750], [0.590, 0.590, 0.910], [0.090, 0.090, 0.410], [0.410, 0.410, 0.090], [0.421, 0.421, 0.579], [0.910, 0.910, 0.590], [0.579, 0.579, 0.421]], "mass_density_g_cm3": 13.1}

***

Record 6
During their fitful lifetimes, the Crusader kingdoms became fully integrated into the local political system, concluding alliances with Muslim states and engaging in intrigues among themselves. As an alien ruling elite, the Latin governments depended on later Crusades—in 1148, 1188, 1202, 1217, 1228, and 1249—for fresh infusions of reinforcements to prolong their occupation. Viewed over the long term, their impact on the Middle East was negligible. Their modest successes owed more to the temporary fragmentation of Muslim power than to their own military and political capacities. The Crusaders figured much less prominently in Middle Eastern literature than in European annals.  7
The founding of specialized Sunni Muslim religious schools (madrasas) in the cities of Egypt and Syria, partly in response to Shi’ite propaganda emanating from Fatimid Egypt. Sunni political figures took a leading role in encouraging and underwriting these establishments.  8
The NIZARI ISMA’ILIS (ASSASSINS) in Syria. They were an extreme Shi’ite sect renowned for their hostility to the Sunni political establishment. Their agents conducted assassinations of prominent political figures throughout the Muslim world. The sect operated briefly out of Aleppo, until 1113, before its expulsion to Damascus, where it settled under official protection. In 1128 its members fled to northern coastal Syria and established forts in the rugged highlands.  9
Capture of Aleppo by the ruler of Mosul, IMAD AL-DIN ZANGI. He constructed a powerful state arching from northern Mesopotamia into northern Syria (as far south as Homs). In the north, he conquered the Frankish kingdom of Edessa (1144), the first Crusader state to be eliminated.  10
The BURID DYNASTY in Damascus. The Burids were the last of the petty Turkoman rulers in Syria. By the middle of the 12th century their position had weakened irretrievably. Particularly after the Second Crusade's rash and unsuccessful siege of Damascus (1148), their capital became the focal point of the military struggle involving Nur al-Din and the Frankish states.  11
Reign of NUR AL-DIN, one of the two sons of Zangi. He became the principal Muslim political figure in Syria and a fervent enemy of the Frankish kingdoms. He originally inherited the western portion of Zangi's kingdom, based in Aleppo. In 1154 he unified the Syrian interior by seizing Damascus. He later rounded out his empire by acquiring Egypt under Abbasid suzerainty (1171).  12
Syrian struggle over Egypt. The forces of Nur al-Din came to the defense of the Fatimids, repelling successive Frankish raids and taking over the Egyptian administration. After the death of Nur al-Din's lieutenant, Shirkuh, SALAH AL-DIN AL-AYYUBI (SALADIN) became chief minister of the Fatimid government (1169).  13
**Calculated crystals, as found in the file**
┌──
No. 1
Computed, not measured: a geometry-optimized NiBiC2F structure at the GGA-PBEsol level of DFT.

Summary:
**ΔE_f (raw)**: 2.613 eV per atom
**SG**: P4/mmm

Cell: 4.4144 4.4144 5.0528 Å, 90.00 90.00 90.00°
Positions (direct):
Ni 0.0000 0.0000 0.5000
C 0.0000 0.5000 0.0000
C 0.5000 0.0000 0.0000
Bi 0.0000 0.0000 0.0000
F 0.5000 0.5000 0.5000

=====

No. 2
Computed, not measured: a geometry-optimized ZnBiCF2 structure at the GGA-PBEsol level of DFT.

Summary:
**ΔE_f (raw)**: 0.039 eV per atom
**SG**: P4/mmm

Cell: 4.4106 4.4106 4.7858 Å, 90.00 90.00 90.00°
Positions (direct):
C 0.0000 0.0000 0.5000
Zn 0.5000 0.5000 0.5000
Bi 0.0000 0.0000 0.0000
F 0.0000 0.5000 0.0000
F 0.5000 0.0000 0.0000

=====

No. 3
Computed, not measured: a geometry-optimized Fe3BiC structure at the GGA-PBEsol level of DFT.

Summary:
**ΔE_f**: 0.28 eV/atom
**SG**: Pm-3m

Cell: 3.8436 3.8436 3.8436 Å, 90.00 90.00 90.00°
Positions (direct):
C 0.0000 0.0000 0.0000
Bi 0.5000 0.5000 0.5000
Fe 0.0000 0.5000 0.0000
Fe 0.0000 0.0000 0.5000
Fe 0.5000 0.0000 0.0000

=====

| no. | total magnetic moment (μB per cell) | E (eV per atom) |
| --- | --- | --- |
| 1 | 1.82 | -3.72 |
| 2 | 0.67 | -3.83 |
| 3 | 0.37 | -7.88 |

* * * * *

# TcPH2

An optimized crystal structure of TcPH2 (PBE, Alexandria).
└──
Death of the last Fatimid caliph, ending Shi’ite rule of Egypt. Formal sovereignty over Egypt reverted to the Abbasids in Baghdad, but Nur al-Din received the right to administer the territory. In reality, Egypt quickly became an independent base of power for Saladin.  14
The Encyclopedia of World History, Sixth edition. Peter N. Stearns, general editor. Copyright © 2001 by Houghton Mifflin Company. Maps by Mary Reilly, copyright © 2001 by Houghton Mifflin Company. Published by Houghton Mifflin Company. All rights reserved.